Rollo explained his plan of collecting a museum of curiosities to his cousins Lucy and James, and to his sister Mary, who was a good deal older than he was. He also informed Henry, a playmate of his, who lived not a great way from his father's house. All the children took a great deal of interest in the scheme, and promised to help him collect the curiosities.
At length, after a few days, Rollo, to his great joy, observed one evening signs of an approaching storm. The wind sighed through the trees, and thick, hazy clouds spread themselves over the sky.
"Don't you think it is going to rain?" said Rollo to his father, as he came in to tea.
"I don't know," said his father. "Which way is the wind?"
"I'll go and see," said Rollo.
He went out and looked at the vane which Jonas had placed upon the top of the barn.
When he came in, he told his father that the wind was east. Then his father said he thought it would rain, and Rollo clapped his hands with delight.
Quantum chemistry results, kept here for reference =
/*
Entry 1:
Below is a molecular structure, C33H30BrFN4OPtTe4 at a distorted geometry, with properties calculated with the ωB97M-V functional and the def2-TZVPD basis.

CARTESIAN COORDINATES (ANGSTROEM)
Pt 0.63458 -1.01124 2.28335
Br -1.70696 2.21830 -4.99370
C -1.00173 0.45840 -4.87360
C -1.69810 -0.51777 -4.18613
C -1.16591 -1.78385 -4.04680
C 0.07386 -2.11617 -4.62675
C 0.73281 -1.11957 -5.36933
C 0.21179 0.15352 -5.47304
N 0.61805 -3.37060 -4.53936
N 0.20572 -4.25632 -3.72262
C 0.33167 -4.09619 -2.36932
C -0.37348 -5.05101 -1.63157
C -0.55747 -4.95194 -0.27438
C -0.00827 -3.90161 0.47350
O -0.23984 -3.82746 1.72640
C 0.86890 -2.95894 -0.24256
N 1.56133 -2.02423 0.48862
C 2.50380 -1.31005 -0.10118
C 2.81246 -1.44320 -1.45712
C 2.08267 -2.30272 -2.22386
C 1.06673 -3.09238 -1.63528
H -2.65954 -0.28718 -3.74624
H -1.72460 -2.54133 -3.51218
H 1.66955 -1.36771 -5.85316
H 0.74509 0.91384 -6.02745
H -0.82096 -5.85521 -2.20330
H -1.13838 -5.67839 0.27707
H 3.04394 -0.61330 0.52078
H 3.61361 -0.85454 -1.88138
H 2.28799 -2.41114 -3.27808
C -2.01042 -1.47506 0.06430
C -1.82593 -0.07113 -0.50672
C -0.50964 0.10539 -1.25997
C -2.11380 1.00647 0.52657
C -3.33018 1.66899 0.38275
C -3.72212 2.66860 1.25095
C -2.88563 3.00650 2.29653
C -1.64660 2.39299 2.48034
C -0.84666 2.91006 3.67381
C 0.27294 3.89499 3.31965
C -0.32624 1.82957 4.61189
C -1.24575 1.38288 1.57677
N 0.08599 0.86194 1.66784
C 1.07013 1.67252 1.12712
C 0.79752 2.70805 0.21169
C 1.79236 3.51019 -0.31961
C 3.12282 3.33025 0.03152
C 3.43215 2.33568 0.94399
C 2.42455 1.55238 1.46244
F 2.80023 0.61865 2.40200
H -1.86689 -2.22312 -0.72254
H -3.02063 -1.59557 0.46367
H -1.31320 -1.68800 0.87102
H -2.62079 0.03809 -1.25355
H 0.34704 -0.01335 -0.60983
H -0.44924 1.09540 -1.71358
H -0.43836 -0.62713 -2.06221
H -3.97577 1.39226 -0.44418
H -4.66612 3.17991 1.11287
H -3.18820 3.78283 2.99094
H -1.57823 3.48821 4.24728
H 1.15465 3.39340 2.92581
H 0.57595 4.43625 4.21953
H -0.05920 4.62414 2.57967
H 0.48270 1.26152 4.15500
H -1.12837 1.13368 4.88303
H 0.05554 2.28219 5.53064
H -0.23064 2.87787 -0.07869
H 1.51821 4.28600 -1.02365
H 3.90184 3.95390 -0.38472
H 4.44602 2.16293 1.28323
Te 1.45463 -3.21597 3.35856
Te 3.03103 -2.28902 5.45339
Te 0.91116 -0.91243 6.43193
Te -0.64816 -1.73387 4.34119

Electronic energy   -147893.070 eV
Total charge   0
Relative energy (zero: lowest compared OMol25 entry of this formula, charge and spin)   26.1 kcal per mole
Lowest unoccupied orbital energy   -2.6104 eV
HOMO-LUMO gap   4.12 eV

---

Entry 2:
Below is a molecular structure, C10H11Cl6InRh at a distorted geometry, with properties calculated with the ωB97M-V functional and the def2-TZVPD basis.

CARTESIAN COORDINATES (ANGSTROEM)
Rh -0.88363 1.11759 -1.99630
Cl -1.35235 3.41866 -1.49019
C -2.78211 0.61996 -1.59390
C -0.68163 1.66603 -3.91510
H -3.23286 0.45803 -2.58995
H -2.80809 -0.28662 -0.96709
H -3.20072 1.52377 -1.11954
H -1.56364 1.24602 -4.43081
H 0.25954 1.25671 -4.30932
H -0.71821 2.76750 -3.93089
*/
And it did rain. The next morning, when Rollo awoke, he heard the storm driving against the window of his chamber. After breakfast, he took an umbrella, and went out into the barn, and found Jonas already at work upon the cabinet. In the course of the morning he finished it. He put three good shelves into it, which, together with the bottom of the box, made four shelves. He also put the two covers on, with hinges, so as to make doors of them; and put a little hasp upon the doors, outside, to fasten them with. He then put it up in one corner of the play room, all ready for the curiosities. Rollo put in his hornets' nest, his pebble stones, and his hemlock-seed, as he called it; and then went to the barn door, and began to be as eager to have it clear up, as he had been before to have it rain. He wanted to go out and collect some more curiosities.
After a time it did clear up, and Rollo obtained his mother's leave to go and ask all the children who were going to have a share in the museum, to come one afternoon and begin to collect the curiosities. They all came-Lucy, James, and Henry. And when Rollo saw them all collected in the garden yard, with baskets in their hands all ready to go forth after curiosities, he capered about full of anticipations of delight.
"Now," said Henry, "let us go down to the hemlock-tree."
"No," said Rollo, "it will be better to go to the brook, where I found the pebbles."
"But I want to go and see if I can't find another hemlock-seed," said Henry.
Rollo was, however, very unwilling to go that way, and yet Henry insisted upon it. Lucy listened to the dispute with a countenance expressive of distress and anxiety. First, she proposed to Rollo to yield to Henry, and then to Henry to yield to Rollo; but in vain. Henry said that Rollo ought to let him decide, because he was the oldest; and Rollo said that he himself ought to decide, because it was his museum. They were both wrong. Neither ought to have insisted upon having his own way so strenuously. At length, after quite a long and unpleasant altercation, Lucy proposed that they should draw lots for it. The boys consented.
"I'll tell you a better plan than that," said a voice above them. They looked up, and saw Mary sitting at the window of the chamber. She had been reading, but, on hearing this dispute, she had closed her book, and now interposed to do what she could to aid in settling it.
When Rollo heard his sister Mary's voice, he felt a little ashamed of his pertinacity. Lucy asked Mary what the plan was.
"Why," said she, "in all expeditions where there are several children, it is very desirable to have a regent."
"A regent?" said Lucy.
"Yes," said Mary, "a commander, to take the lead, and decide the thousand little questions which are likely to occur. Unless there is somebody to decide them, there will be endless disputes."
"Well," said Henry, "I'll be regent."
"No," said Mary, "you must choose one. I'll tell you how. You must choose the regent by ballot. Lilac leaves make good ballots. Each one of you must consider who you think will be best for regent,-that is, who will have the most discretion and judgment, to decide wisely, and at the same time be mild and gentle, and amiable in manner, so as to be a pleasant commander. Of course, no one must vote for himself."
"But I don't understand," said Rollo. "What are the lilac leaves for?"
"For ballots; that is, for you to write your votes upon. You can write on the under side of a lilac leaf with the point of a pin."
"Can we?" said Lucy, with a look of curiosity and pleasure.
"Yes," said Mary, "you need not write the whole name. You can write the first letter-that will be enough. R. stands for Rollo, L. for Lucy, H. for Henry, J. for James, and N. for Nathan."
"Ho!" said Rollo, "Nathan won't do for a regent."
"Perhaps not," said Mary; "each one of you must vote for the one you think best. Now get your lilac leaves, and I will drop you down some pins."
The children ran off very eagerly to get the leaves, and then came back, and Mary dropped down four pins. They each took one, and, with the point of it, wrote a letter upon the back of the leaf. Then Mary asked Nathan to carry around his cap, and let them all drop their leaves into it, and then bring them up to her, and she would see who was chosen.
So Nathan, highly pleased with his office, collected the votes in his cap, and brought them up to his sister Mary. She looked them over as she sat at the window, the children all looking up from below, eagerly awaiting the result. At length, Mary told them that there were four leaves in Nathan's cap, and that three of them had the letter L upon it. "So," said she, "you see you have chosen Lucy for regent."
_These calculated molecules were left in the text by mistake_
********
# 1
{"formula": "C3H12N2OS", "method": "ωB97M-V with the def2-TZVPD basis set", "e_lumo_ha": 0.010, "homo_energy_ev": -8.4, "gap_ev": 8.62, "smiles": "NC[C@@H](N)CS.O", "symbols": ["N", "C", "C", "S", "C", "N", "H", "H", "H", "H", "H", "H", "H", "H", "H", "H", "H", "H", "O"], "xyz": [[1.756, -0.661, 0.612], [0.408, -0.340, 0.132], [0.314, 0.097, -1.341], [1.242, 1.593, -1.718], [-0.745, -1.594, 0.387], [-0.454, -2.197, 1.790], [1.990, -0.171, 1.428], [0.304, 2.520, -1.575], [2.544, -0.394, 0.013], [-0.010, 0.485, 0.725], [-0.749, 0.175, -1.536], [0.816, -0.529, -2.002], [-1.574, -0.928, 0.194], [-0.539, -2.232, -0.556], [0.499, -2.508, 1.738], [-0.682, -1.701, 2.585], [-2.071, 3.550, -0.305], [-1.770, 1.962, -0.178], [-1.280, 2.873, -0.394]]}

# 2
{"formula": "C3H6N2OS2", "method": "ωB97M-V with the def2-TZVPD basis set", "e_lumo_ha": 0.024, "homo_energy_ev": -9.1, "gap_ev": 9.74, "smiles": "C/C=N\\SC(=O)NS", "symbols": ["C", "C", "C", "H", "H", "H", "H", "H", "H", "N", "N", "O", "S", "S"], "xyz": [[-2.565, 0.230, -0.402], [-1.623, -0.537, 0.443], [1.906, 1.157, 0.047], [-2.049, 0.429, -1.341], [-3.503, -0.330, -0.520], [-2.803, 1.238, -0.007], [-1.922, -1.400, 1.031], [3.585, 0.114, 0.322], [1.921, -2.215, 0.684], [-0.376, -0.323, 0.490], [2.558, -0.037, 0.230], [2.494, 2.202, 0.080], [0.219, 0.957, -0.553], [2.159, -1.486, -0.502]]}

# 3
********
"Yes, I voted for Lucy," said Rollo. "I thought she would be the best."
"And so did I," said James and Henry.
Lucy looked down, and felt a little embarrassed at finding herself raised so suddenly to the dignity of regent; and she asked Mary what she was to do.
"O, walk along with them just as you would if you had not been chosen; only you will decide all the questions that come up, such as where you shall go, and how long you shall stay in the different places. The others may give you their opinions, if you ask them; but they must let you decide, and they must all submit to your decisions."
"Well, come," said Lucy; "we'll go down the lane first." So she took hold of Thanny's hand, and walked along, the other children following. They passed through the great gate, and soon disappeared from Mary's view.
They were gone two or three hours. At length, when the sun had nearly gone down, Mary heard voices in the front of the house. She left her back window, and went around to a front window to see. She found them returning, and all talking together with the greatest volubility. They had their baskets full of various commodities, and large bouquets of flowers and plants in their hands. They did not see Mary at the window, and as they all seemed to be good-natured and satisfied with their afternoon's work, Mary did not speak to them; and so they passed along into the yard undisturbed. They proceeded immediately to the cabinet in the play room, and then began to take out their treasures from their baskets, and pockets, and handkerchiefs, and to spread them out upon the floor, and upon the bench. In a short time, the floor was covered with specimens of plants and minerals, with shells, and pebbles, and little papers of sand, and nuts, and birds' nests which they had found deserted, and all sorts of wonders. The room was filled with the sound of their voices; questions, calls to one another, expressions of delight, exclamations of surprise, or of disappointment or pleasure. It was all,-"James, you are treading on my flowers!" "O Lucy, Lucy, see my toadstool!" "O, now my prettiest shell is broken!" "Move away a little, Rollo-I have not got room for all my pebbles"-"Where's my silk worm? now where's my silk worm?" "O Henry, give me some of your birch bark, do,"-and a hundred other similar ejaculations, all uttered together.
They soon began, one and another, to put their curiosities into the cabinet,-and then it was, as the old phrase is, confusion worse confounded. Lucy had some discretion and forbearance, and kept a little back, looking, however, uneasy and distressed, and attempting in vain to get an opportunity to put some of her things in. The boys crowded around the cabinet, each attempting to put his own curiosities into the most conspicuous places, and arranging them over and over again, according as each one's whims or fancies varied.
"O dear me," said Rollo, "I wish you would not keep moving these pebbles away, Henry."
"Why, you put them too far this way," said Henry; "I want my shells to go here."
"No," replied Rollo, "put your shells down on the next shelf. James! James! take care; don't touch that birds' nest."
"Yes, I want room for my silver stone," said James. He had found a shining stone, which he called a silver stone. And thus they disputed, and talked loudly and vociferously, and contradicted, interrupted, pushed, and crowded each other. Still, they were all good-natured; that is, they were not angry; the difficulty only arose from their eagerness and their numbers,-and their disorganization.
"O dear me," said Rollo, at length, "I wish we had a regent again; we got along very well, while Lucy was a regent. Let me be regent now. Come, Henry and James, let me be regent, and I will direct, and then we shall have order again."
"Well," said James.
"No," said Henry, "you have not been elected. You can't be regent, unless you are chosen regularly."
Lucy said nothing, but stood behind the others in despair.
"Well, then, let Lucy be regent; she was chosen."
"But I was only chosen regent for the walk," said Lucy.
"O never mind," said Rollo, "let her be regent now."
But Henry was not disposed to submit to any doubtful authority. He kept at work putting things in, in the way that pleased him most, without any regard to Rollo's proposal for prolonging Lucy's authority. As Henry did not acquiesce in this proposed measure, Rollo and James seemed to think it was useless for them to do so, and so they went much as they had begun, until they had pretty well filled up Jonas's cabinet with a perfect medley of specimens, the worthy and the worthless all together. They were at length interrupted by the sound of the bell, calling Rollo in to tea; Henry then went home, and James, Lucy, and Rollo went into the house.